/*
(1)
Density functional theory data (ωB97M-V with the def2-TZVPD basis set) for a structure of composition C32H27N3S2W in a non-equilibrium geometry.

```
65
Properties=species:S:1:pos:R:3
W -0.229 0.146 0.338
C -3.843 -1.250 6.068
C -3.490 0.002 5.251
C -3.846 1.254 6.065
C -4.331 0.000 3.971
C -2.000 -0.016 4.966
C -1.088 -0.001 6.039
C 0.279 -0.039 5.864
C 0.771 -0.082 4.569
S 2.420 -0.103 3.987
C 1.845 -0.099 2.375
N 0.510 -0.108 2.259
C -0.117 -0.091 3.483
C -1.496 -0.059 3.676
C 2.615 -0.124 1.149
C 4.006 -0.080 1.075
C 4.614 -0.142 -0.171
C 3.850 -0.268 -1.324
C 2.460 -0.299 -1.252
C 1.828 -0.208 -0.025
H -4.905 -1.244 6.300
H -3.294 -1.284 7.003
H -3.618 -2.153 5.505
H -4.910 1.248 6.285
H -3.615 2.159 5.509
H -3.310 1.287 7.008
H -5.384 0.013 4.240
H -4.154 -0.896 3.379
H -4.137 0.883 3.364
H -1.454 0.050 7.053
H 0.952 -0.024 6.704
H -2.137 -0.082 2.794
H 4.592 0.011 1.978
H 5.690 -0.097 -0.238
H 4.336 -0.330 -2.286
H 1.876 -0.378 -2.165
C -0.996 -1.545 -0.451
C -1.490 -2.553 -0.967
C -2.119 -3.676 -1.500
C -1.367 -4.712 -2.086
C -2.009 -5.842 -2.546
C -3.391 -5.952 -2.451
C -4.144 -4.922 -1.895
C -3.520 -3.790 -1.418
H -0.293 -4.613 -2.150
H -1.435 -6.646 -2.978
H -3.884 -6.842 -2.806
H -5.216 -5.013 -1.830
H -4.092 -2.985 -0.980
N -3.298 0.879 -0.620
C -2.417 1.840 -0.940
N -1.102 1.691 -0.756
C -0.410 2.848 -1.124
C 0.969 3.027 -1.065
C 1.491 4.244 -1.466
C 0.665 5.272 -1.912
C -0.709 5.108 -1.970
C -1.231 3.888 -1.579
S -2.911 3.375 -1.559
H -2.971 -0.081 -0.534
H -4.272 1.015 -0.843
H 1.619 2.226 -0.724
H 2.557 4.400 -1.430
H 1.099 6.208 -2.222
H -1.352 5.902 -2.305
```

Results
Maximum force in hartree/bohr: 0.042
HOMO-LUMO gap (alpha / beta) in eV: 5.96 / 6.75
Charge: +2
2S+1: 3
Energy above the lowest of the compared OMol25 structures with the same formula, charge and spin in kcal per mole: 0.0

***

(2)
Density functional theory data (ωB97M-V with the def2-TZVPD basis set) for a cluster of 2 separate species, C32H27NO3 in total in a non-equilibrium geometry.

```
63
Properties=species:S:1:pos:R:3
C 2.155 2.920 5.061
C 1.844 3.550 3.852
C 1.645 2.794 2.685
C 1.804 1.398 2.681
C 1.902 0.571 1.394
C 1.418 1.158 0.177
C 1.628 0.568 -1.121
C 1.733 1.472 -2.338
C 1.630 2.873 -2.312
C 1.812 3.637 -3.482
C 2.091 3.015 -4.705
C 2.188 1.615 -4.745
C 2.018 0.863 -3.579
O 1.726 -0.658 -1.332
O 2.432 -0.555 1.470
C 2.055 0.769 3.922
C 2.235 1.520 5.089
H 2.334 3.515 5.959
H 1.785 4.635 3.793
H 1.402 3.306 1.754
H 0.921 2.134 0.208
H 1.437 3.374 -1.365
H 1.760 4.725 -3.427
H 2.236 3.610 -5.612
H 2.420 1.114 -5.684
H 2.134 -0.219 -3.626
H 2.152 -0.319 3.967
H 2.474 1.020 6.027
C 2.432 -6.057 0.495
O 1.518 -5.681 1.558
C 0.830 -4.526 1.394
C 0.894 -3.739 0.227
C 0.125 -2.601 0.152
C -0.588 -2.063 1.243
C -1.172 -0.752 1.100
C -1.893 -0.382 -0.024
C -2.834 0.739 -0.145
C -3.325 1.664 0.759
C -4.391 2.495 0.370
C -4.965 2.393 -0.912
C -4.493 1.439 -1.829
C -3.433 0.649 -1.428
N -2.913 -0.504 -2.050
C -3.316 -1.039 -3.339
C -2.023 -1.114 -1.236
C -0.673 -2.901 2.401
C -0.028 -4.115 2.452
H 2.804 -7.037 0.798
H 1.929 -6.129 -0.486
H 3.269 -5.341 0.414
H 1.536 -4.011 -0.618
H 0.163 -2.048 -0.782
H -1.194 -0.088 1.959
H -2.878 1.722 1.749
H -4.796 3.227 1.062
H -5.785 3.047 -1.203
H -4.950 1.283 -2.817
H -4.009 -0.340 -3.811
H -2.424 -1.182 -3.963
H -3.794 -2.019 -3.207
H -1.584 -2.051 -1.547
H -1.287 -2.562 3.241
H -0.125 -4.781 3.307
```

Results
Maximum force in hartree/bohr: 0.027
HOMO-LUMO gap in eV: 4.75
2S+1: 1
Energy above the lowest of the compared OMol25 structures with the same formula, charge and spin in kcal per mole: 0.0

***

(3)
Density functional theory data (ωB97M-V with the def2-TZVPD basis set) for a cluster of 2 separate species, C32H28BF6NO2S in total in a non-equilibrium geometry.

```
71
Properties=species:S:1:pos:R:3
C 2.794 2.053 -7.186
C 2.610 2.077 -5.714
C 2.544 3.201 -4.910
C 2.316 2.909 -3.520
C 2.137 1.566 -3.293
B 1.940 0.748 -1.887
C 0.457 1.240 -1.411
C -0.623 0.544 -1.893
C -1.904 0.955 -1.538
*/

It remains to transcribe the lines earlier on up to the one that holds "-0.756", that line included.

(1)
Density functional theory data (ωB97M-V with the def2-TZVPD basis set) for a structure of composition C32H27N3S2W in a non-equilibrium geometry.

```
65
Properties=species:S:1:pos:R:3
W -0.229 0.146 0.338
C -3.843 -1.250 6.068
C -3.490 0.002 5.251
C -3.846 1.254 6.065
C -4.331 0.000 3.971
C -2.000 -0.016 4.966
C -1.088 -0.001 6.039
C 0.279 -0.039 5.864
C 0.771 -0.082 4.569
S 2.420 -0.103 3.987
C 1.845 -0.099 2.375
N 0.510 -0.108 2.259
C -0.117 -0.091 3.483
C -1.496 -0.059 3.676
C 2.615 -0.124 1.149
C 4.006 -0.080 1.075
C 4.614 -0.142 -0.171
C 3.850 -0.268 -1.324
C 2.460 -0.299 -1.252
C 1.828 -0.208 -0.025
H -4.905 -1.244 6.300
H -3.294 -1.284 7.003
H -3.618 -2.153 5.505
H -4.910 1.248 6.285
H -3.615 2.159 5.509
H -3.310 1.287 7.008
H -5.384 0.013 4.240
H -4.154 -0.896 3.379
H -4.137 0.883 3.364
H -1.454 0.050 7.053
H 0.952 -0.024 6.704
H -2.137 -0.082 2.794
H 4.592 0.011 1.978
H 5.690 -0.097 -0.238
H 4.336 -0.330 -2.286
H 1.876 -0.378 -2.165
C -0.996 -1.545 -0.451
C -1.490 -2.553 -0.967
C -2.119 -3.676 -1.500
C -1.367 -4.712 -2.086
C -2.009 -5.842 -2.546
C -3.391 -5.952 -2.451
C -4.144 -4.922 -1.895
C -3.520 -3.790 -1.418
H -0.293 -4.613 -2.150
H -1.435 -6.646 -2.978
H -3.884 -6.842 -2.806
H -5.216 -5.013 -1.830
H -4.092 -2.985 -0.980
N -3.298 0.879 -0.620
C -2.417 1.840 -0.940
N -1.102 1.691 -0.756